(File)
=====
Entry 1:
VASP calculation (PBE-GGA) on a geometry-optimized Na9Ca4Ta8Si3P15O72 structure.

Calculated values
Its total DFT energy (no corrections) is -849.04 eV per cell. The total magnetization comes out at 0.000 μB per atom. For the MP2020-corrected energy, the calculation gives -898.506 eV/f.u. The energy of formation is -286.8 kJ/mol of atoms.

Cell: 8.9666 8.9783 22.8623 Å, 89.96 89.92 60.11°
Fractional coordinates of all 111 atoms:
Na 0.0000 0.0000 0.0000
Na 0.0054 0.9945 0.5005
Na 0.3377 0.3328 0.3304
Na 0.3433 0.3404 0.8314
Na 0.3549 0.9657 0.0775
Na 0.3675 0.0135 0.7453
Na 0.6674 0.6685 0.6580
Na 0.6845 0.6520 0.1591
Na 0.9707 0.3491 0.5771
Ca 0.3378 0.3354 0.1940
Ca 0.3401 0.3413 0.6922
Ca 0.6647 0.6706 0.5142
Ca 0.6734 0.6617 0.0152
Ta 0.0009 0.0017 0.8553
Ta 0.0018 0.9992 0.1464
Ta 0.0055 0.0022 0.3550
Ta 0.3388 0.3322 0.9819
Ta 0.3386 0.3331 0.4816
Ta 0.6740 0.6684 0.8168
Ta 0.6746 0.6649 0.3158
Ta 0.9981 0.9964 0.6461
Si 0.3726 0.9673 0.9202
Si 0.7180 0.9899 0.7531
Si 0.9712 0.3699 0.4202
P 0.0475 0.3295 0.0872
P 0.0502 0.6277 0.5849
P 0.2934 0.7210 0.7536
P 0.2973 0.9865 0.2521
P 0.3323 0.6270 0.0868
P 0.3337 0.0421 0.5883
P 0.3746 0.6641 0.4162
P 0.6311 0.0469 0.0861
P 0.6339 0.3284 0.5856
P 0.6679 0.3709 0.9171
P 0.6692 0.9650 0.4164
P 0.7256 0.2919 0.2532
P 0.9711 0.6641 0.9176
P 0.9884 0.2915 0.7517
P 0.9907 0.7216 0.2533
O 0.0030 0.1768 0.8042
O 0.0053 0.8148 0.9029
O 0.0084 0.1750 0.4028
O 0.0472 0.8067 0.5902
O 0.0487 0.1477 0.0903
O 0.1263 0.5220 0.6387
O 0.1321 0.3420 0.1414
O 0.1458 0.5461 0.2546
O 0.1501 0.3042 0.7521
O 0.1513 0.4983 0.9235
O 0.1528 0.0452 0.5888
O 0.1549 0.8120 0.0918
O 0.1635 0.3550 0.4258
O 0.1697 0.3035 0.0310
O 0.1712 0.5318 0.5292
O 0.1785 0.0045 0.9030
O 0.1843 0.9911 0.3042
O 0.1861 0.8262 0.8064
O 0.1876 0.8100 0.4008
O 0.2053 0.8347 0.6971
O 0.2061 0.9693 0.1951
O 0.3096 0.5352 0.0302
O 0.3097 0.5471 0.7551
O 0.3125 0.1680 0.5336
O 0.3137 0.1444 0.2547
O 0.3460 0.1203 0.6452
O 0.3511 0.5280 0.1411
O 0.3609 0.1584 0.9258
O 0.3676 0.4938 0.4228
O 0.4250 0.7168 0.4711
O 0.4249 0.8700 0.9804
O 0.4733 0.7125 0.7588
O 0.4744 0.6712 0.0806
O 0.4756 0.8176 0.2589
O 0.4803 0.8626 0.5801
O 0.4985 0.3619 0.9232
O 0.4987 0.6395 0.3630
O 0.5036 0.1460 0.4235
O 0.5078 0.8583 0.8637
O 0.5244 0.1250 0.1395
O 0.5264 0.1452 0.7565
O 0.5371 0.1667 0.0299
O 0.5368 0.3450 0.6404
O 0.5403 0.3076 0.5294
O 0.5506 0.3096 0.2551
O 0.6385 0.8703 0.3629
O 0.6442 0.4923 0.8634
O 0.6610 0.8672 0.0771
O 0.6754 0.4723 0.5802
O 0.7105 0.8081 0.7594
O 0.7154 0.4718 0.2593
O 0.7175 0.4239 0.9720
O 0.7169 0.8617 0.4712
O 0.8120 0.0406 0.0916
O 0.8163 0.1847 0.9029
O 0.8185 0.1519 0.5894
O 0.8198 0.7129 0.2589
O 0.8201 0.9993 0.4015
O 0.8219 0.4683 0.7590
O 0.8310 0.1813 0.3058
O 0.8308 0.9972 0.8070
O 0.8363 0.1994 0.1968
O 0.8384 0.9710 0.6937
O 0.8600 0.5068 0.3649
O 0.8662 0.4726 0.0795
O 0.8665 0.7111 0.9720
O 0.8702 0.6579 0.5761
O 0.8743 0.4189 0.4806
O 0.8752 0.6345 0.8638
O 0.9720 0.2014 0.6944
O 0.9728 0.8330 0.1969
O 0.9952 0.8264 0.3056

***

Entry 2:
VASP calculation (PBE-GGA) on a geometry-optimized Na5CaTi3SiP5O24 structure.

Calculated values
Its total DFT energy (no corrections) is -846.58 eV per cell. The total magnetization comes out at 0.000 μB per atom. For the MP2020-corrected energy, the calculation gives -298.682 eV/f.u. The energy of formation is -284.8 kJ/mol of atoms.

Cell: 8.9212 8.9534 22.1390 Å, 90.09 90.16 119.75°
Fractional coordinates of all 117 atoms:
Na 0.0000 0.0000 0.0000
Na 0.0001 0.3097 0.4024
Na 0.0306 0.7083 0.9049
Na 0.2736 0.3151 0.9064
Na 0.2889 0.9718 0.4030
Na 0.3130 0.6377 0.8202
Na 0.3186 0.6558 0.3156
Na 0.3367 0.9824 0.7443
Na 0.6488 0.3172 0.6579
Na 0.6525 0.3069 0.1617
Na 0.6583 0.9487 0.9054
Na 0.6674 0.6872 0.4016
Na 0.6891 0.6540 0.0843
Na 0.9463 0.6486 0.5713
Na 0.9896 0.0085 0.4922
Ca 0.6455 0.3126 0.5183
Ca 0.9871 0.9899 0.3277
Ca 0.9878 0.9918 0.8391
Ti 0.3190 0.6494 0.6786
Ti 0.3207 0.6517 0.9778
Ti 0.3232 0.6552 0.4736
Ti 0.3273 0.6588 0.1741
=====

(To do)
Your job: print everything further up unchanged.

(Completed)
Entry 1:
VASP calculation (PBE-GGA) on a geometry-optimized Na9Ca4Ta8Si3P15O72 structure.

Calculated values
Its total DFT energy (no corrections) is -849.04 eV per cell. The total magnetization comes out at 0.000 μB per atom. For the MP2020-corrected energy, the calculation gives -898.506 eV/f.u. The energy of formation is -286.8 kJ/mol of atoms.

Cell: 8.9666 8.9783 22.8623 Å, 89.96 89.92 60.11°
Fractional coordinates of all 111 atoms:
Na 0.0000 0.0000 0.0000
Na 0.0054 0.9945 0.5005
Na 0.3377 0.3328 0.3304
Na 0.3433 0.3404 0.8314
Na 0.3549 0.9657 0.0775
Na 0.3675 0.0135 0.7453
Na 0.6674 0.6685 0.6580
Na 0.6845 0.6520 0.1591
Na 0.9707 0.3491 0.5771
Ca 0.3378 0.3354 0.1940
Ca 0.3401 0.3413 0.6922
Ca 0.6647 0.6706 0.5142
Ca 0.6734 0.6617 0.0152
Ta 0.0009 0.0017 0.8553
Ta 0.0018 0.9992 0.1464
Ta 0.0055 0.0022 0.3550
Ta 0.3388 0.3322 0.9819
Ta 0.3386 0.3331 0.4816
Ta 0.6740 0.6684 0.8168
Ta 0.6746 0.6649 0.3158
Ta 0.9981 0.9964 0.6461
Si 0.3726 0.9673 0.9202
Si 0.7180 0.9899 0.7531
Si 0.9712 0.3699 0.4202
P 0.0475 0.3295 0.0872
P 0.0502 0.6277 0.5849
P 0.2934 0.7210 0.7536
P 0.2973 0.9865 0.2521
P 0.3323 0.6270 0.0868
P 0.3337 0.0421 0.5883
P 0.3746 0.6641 0.4162
P 0.6311 0.0469 0.0861
P 0.6339 0.3284 0.5856
P 0.6679 0.3709 0.9171
P 0.6692 0.9650 0.4164
P 0.7256 0.2919 0.2532
P 0.9711 0.6641 0.9176
P 0.9884 0.2915 0.7517
P 0.9907 0.7216 0.2533
O 0.0030 0.1768 0.8042
O 0.0053 0.8148 0.9029
O 0.0084 0.1750 0.4028
O 0.0472 0.8067 0.5902
O 0.0487 0.1477 0.0903
O 0.1263 0.5220 0.6387
O 0.1321 0.3420 0.1414
O 0.1458 0.5461 0.2546
O 0.1501 0.3042 0.7521
O 0.1513 0.4983 0.9235
O 0.1528 0.0452 0.5888
O 0.1549 0.8120 0.0918
O 0.1635 0.3550 0.4258
O 0.1697 0.3035 0.0310
O 0.1712 0.5318 0.5292
O 0.1785 0.0045 0.9030
O 0.1843 0.9911 0.3042
O 0.1861 0.8262 0.8064
O 0.1876 0.8100 0.4008
O 0.2053 0.8347 0.6971
O 0.2061 0.9693 0.1951
O 0.3096 0.5352 0.0302
O 0.3097 0.5471 0.7551
O 0.3125 0.1680 0.5336
O 0.3137 0.1444 0.2547
O 0.3460 0.1203 0.6452
O 0.3511 0.5280 0.1411
O 0.3609 0.1584 0.9258
O 0.3676 0.4938 0.4228
O 0.4250 0.7168 0.4711
O 0.4249 0.8700 0.9804
O 0.4733 0.7125 0.7588
O 0.4744 0.6712 0.0806
O 0.4756 0.8176 0.2589
O 0.4803 0.8626 0.5801
O 0.4985 0.3619 0.9232
O 0.4987 0.6395 0.3630
O 0.5036 0.1460 0.4235
O 0.5078 0.8583 0.8637
O 0.5244 0.1250 0.1395
O 0.5264 0.1452 0.7565
O 0.5371 0.1667 0.0299
O 0.5368 0.3450 0.6404
O 0.5403 0.3076 0.5294
O 0.5506 0.3096 0.2551
O 0.6385 0.8703 0.3629
O 0.6442 0.4923 0.8634
O 0.6610 0.8672 0.0771
O 0.6754 0.4723 0.5802
O 0.7105 0.8081 0.7594
O 0.7154 0.4718 0.2593
O 0.7175 0.4239 0.9720
O 0.7169 0.8617 0.4712
O 0.8120 0.0406 0.0916
O 0.8163 0.1847 0.9029
O 0.8185 0.1519 0.5894
O 0.8198 0.7129 0.2589
O 0.8201 0.9993 0.4015
O 0.8219 0.4683 0.7590
O 0.8310 0.1813 0.3058
O 0.8308 0.9972 0.8070
O 0.8363 0.1994 0.1968
O 0.8384 0.9710 0.6937
O 0.8600 0.5068 0.3649
O 0.8662 0.4726 0.0795
O 0.8665 0.7111 0.9720
O 0.8702 0.6579 0.5761
O 0.8743 0.4189 0.4806
O 0.8752 0.6345 0.8638
O 0.9720 0.2014 0.6944
O 0.9728 0.8330 0.1969
O 0.9952 0.8264 0.3056

***

Entry 2:
VASP calculation (PBE-GGA) on a geometry-optimized Na5CaTi3SiP5O24 structure.

Calculated values
Its total DFT energy (no corrections) is -846.58 eV per cell. The total magnetization comes out at 0.000 μB per atom. For the MP2020-corrected energy, the calculation gives -298.682 eV/f.u. The energy of formation is -284.8 kJ/mol of atoms.

Cell: 8.9212 8.9534 22.1390 Å, 90.09 90.16 119.75°
Fractional coordinates of all 117 atoms:
Na 0.0000 0.0000 0.0000
Na 0.0001 0.3097 0.4024
Na 0.0306 0.7083 0.9049
Na 0.2736 0.3151 0.9064
Na 0.2889 0.9718 0.4030
Na 0.3130 0.6377 0.8202
Na 0.3186 0.6558 0.3156
Na 0.3367 0.9824 0.7443
Na 0.6488 0.3172 0.6579
Na 0.6525 0.3069 0.1617
Na 0.6583 0.9487 0.9054
Na 0.6674 0.6872 0.4016
Na 0.6891 0.6540 0.0843
Na 0.9463 0.6486 0.5713
Na 0.9896 0.0085 0.4922
Ca 0.6455 0.3126 0.5183
Ca 0.9871 0.9899 0.3277
Ca 0.9878 0.9918 0.8391
Ti 0.3190 0.6494 0.6786
Ti 0.3207 0.6517 0.9778
Ti 0.3232 0.6552 0.4736
Ti 0.3273 0.6588 0.1741